Activity
Now restate the lines below from the one with "Functional: PBE-GGA" to the one with "(μB/f.u.): 7.6" with every line break kept.

Material
┌──
Compound: Mn2ZnIr
Source: the Alexandria database
Functional: PBE-GGA
Structure: relaxed

Values from the calculation:
D(E_F) (states/eV per cell): 8.00
Total energy (eV/atom): -6.6934
Spin magnetization (μB/f.u.): 7.6
Symmetry: I-42d, No. 122
ΔH_f (0 K) (meV per atom): 425

a b c (Å): 5.5562 5.5562 5.5562
angles (deg): 102.38 102.38 124.83
Element x y z (fractional)
1 Mn 0.1159 0.6250 0.9909
2 Mn 0.3750 0.3659 0.4909
3 Mn 0.6341 0.1250 0.0091
4 Mn 0.8750 0.8841 0.5091
5 Zn 0.2500 0.7500 0.5000
└──

Written answer
Functional: PBE-GGA
Structure: relaxed

Values from the calculation:
D(E_F) (states/eV per cell): 8.00
Total energy (eV/atom): -6.6934
Spin magnetization (μB/f.u.): 7.6